Raza Neem

Eminent social historian, writer and journalist Syed Sibte Hassan set off on his final journey on April 20, 32 years ago – aged seventy. Almost half a century of this life spread over seven decades was spent in extraordinary scholarly and political activities. He was a cultured person who spent a multifaceted life and inscribed his deep individual imprints within various fields, but his basic identity was as a Marxist thinker. It would not be incorrect to say that he was the greatest writer and interpreter of socialist thought in Pakistan. As a socialist, he illuminated the various social and political problems of the past and of his own time in his Urdu and English writings. His manner of thinking was objective. He saw and evaluated every phenomenon from a scientific point of view and while doing so, benefitted from many and varied subjects of the social sciences. His writings simultaneously show a historian, an anthropological expert, someone with a deep understanding of economics and a connoisseur of literature presenting his drippings of thought. Sibte Hassan’s sources were also of many different kinds, though they had the common characteristic of being highly perceptive. He tried to study metaphysics, world religions, classical and modern philosophy and the scientific thought, but his manner of evaluating both ancient and modern thought was purely Marxist. He did not view thought as fixed in nature and a hair-splitting activity by the human brain but analyzed them in the perspective of the entire society of related eras and societal contradictions. Therefore he analysed the systems of thought and experiences of ancient civilisations in the background of the productive relations and material facts prevalent in these civilisations. He also evaluated the ideas and thoughts of the Middle Ages with respect to the social formations of their time and society. In the same manner, in his opinion, the growth of ideas and their mutual clash in the modern age can only be understood in the background of the capitalist system and its social mastery in this age.
Sibte Hassan devoted the last one to two decades of his life to purely educational and research work. There are many books borne of this ardour and curiosity, which achieved such popularity upon publication that one edition was followed by successive editions. It seems that his writings fell the like the first drops of rain on the static environment and dry earth of society and were absorbed swiftly therein. The questions whose answers were being sought by a young generation were answered by these writings. These books were most accessible in Pakistan’s far-flung areas because they were the messengers of new ideas and thoughts. Sibte Hassan challenged several postulates in his writings and with his scientific analysis proved wrong many unrealistic perceptions which had besieged minds. The manner in which weakness of faith was promoted in the name of religion had closed off the routes of healthy development of society.The closing off of people’s minds, achieved through magic and witchcraft, amulets and charms, and other supernatural ideas could only have been reformed by reforming these tendencies and ideas in the light of reason. This task was achieved by Sibte Hassan’s writings in a very effective way.
In Maazi ke Mazaar (Tombs of the Past), he analysed the ideas about the creation of Adam among ancient civilisations in the light of the latest anthropological perspectives. Likewise while analysing the tendency towards blind following which eventually results in communalism, he opined that in these societies, feudalism and monarchy had closed off the paths of reason and rationality and played a pivotal role in forcing human minds to incline towards blind following, instead of turning towards creativity.
Again with respect to religion, he analysed the conspiracies and anti-people policies of states in his time. He felt that just like in the Middle Ages rulers used divine references for rationalising their power; in the modern age too, the rulers bereft of any lawful claim do not hesitate to use religion for forcing their rule and control over the people. His book Naveed-e-Fikr (Glad Tidings of Thought) has the status of a thought-provoking and pathbreaking work in this context.
Data records, kept here for reference.
┌──
[1]
13
Lattice="5.088 -4.397 0.000 5.088 4.397 0.000 -2.574 0.000 4.441" Properties=species:S:1:pos:R:3 comment="r2SCAN PrAl8Cu4, optimized geometry" energy_ev_per_atom=-10.0807 m_tot_mub_per_cell=0.00 ef_mev_per_atom=-339 pbc="T T T"
Pr 0.000 0.000 0.000
Al 0.400 0.000 3.208
Al 3.801 2.446 2.221
Al 2.659 0.000 1.551
Al 5.088 1.322 0.000
Al 5.088 -1.322 0.000
Al 4.943 0.000 2.890
Al 3.801 -2.446 2.221
Al 7.203 0.000 1.234
Cu 2.544 2.199 0.000
Cu 1.257 2.199 2.221
Cu 2.544 -2.199 0.000
Cu 1.257 -2.199 2.221

=====

[2]
40
Lattice="6.370 0.000 0.000 0.000 6.370 0.000 0.000 0.000 14.719" Properties=species:S:1:pos:R:3 comment="r2SCAN Al7Cu2Rh, optimized geometry" energy_ev_per_atom=-9.6977 m_tot_mub_per_cell=0.00 ef_mev_per_atom=-402 pbc="T T T"
Al 0.000 0.000 1.876
Al 0.000 0.000 12.844
Al 0.551 1.918 5.929
Al 0.551 1.918 8.790
Al 0.950 4.134 3.680
Al 0.950 4.134 11.040
Al 1.267 2.634 1.431
Al 1.267 2.634 13.289
Al 1.918 5.818 5.929
Al 1.918 5.818 8.790
Al 2.235 0.950 3.680
Al 2.235 0.950 11.040
Al 2.634 5.103 1.431
Al 2.634 5.103 13.289
Al 3.185 3.185 5.484
Al 3.185 3.185 9.235
Al 3.736 1.267 1.431
Al 3.736 1.267 13.289
Al 4.134 5.420 3.680
Al 4.134 5.420 11.040
Al 4.451 0.551 5.929
Al 4.451 0.551 8.790
Al 5.103 3.736 1.431
Al 5.103 3.736 13.289
Al 5.420 2.235 3.680
Al 5.420 2.235 11.040
Al 5.818 4.451 5.929
Al 5.818 4.451 8.790
Cu 0.602 4.663 0.000
Cu 1.478 3.787 7.360
Cu 1.707 0.602 0.000
Cu 2.583 1.478 7.360
Cu 3.787 4.892 7.360
Cu 4.663 5.767 0.000
Cu 4.892 2.583 7.360
Cu 5.767 1.707 0.000
Rh 0.000 0.000 4.384
Rh 0.000 0.000 10.335
Rh 3.185 3.185 2.975
Rh 3.185 3.185 11.744

=====

[3]
14
Lattice="0.000 5.270 5.270 5.270 0.000 5.270 5.270 5.270 0.000" Properties=species:S:1:pos:R:3 comment="r2SCAN Al5CuSe8, optimized geometry" energy_ev_per_atom=-12.2644 m_tot_mub_per_cell=0.00 ef_mev_per_atom=-907 pbc="T T T"
Al 0.000 0.000 0.000
Al 6.513 4.027 4.027
Al 4.027 6.513 4.027
Al 4.027 4.027 6.513
Al 6.513 6.513 6.513
Cu 2.635 2.635 2.635
Se 4.017 4.017 4.017
Se 6.523 6.523 4.017
Se 6.523 4.017 6.523
Se 9.131 6.679 6.679
Se 4.017 6.523 6.523
Se 6.679 9.131 6.679
Se 6.679 6.679 9.131
Se 9.131 9.131 9.131

=====

[4]
13
Lattice="2.557 -6.192 0.000 2.557 6.192 0.000 -2.542 0.000 6.192" Properties=species:S:1:pos:R:3 comment="r2SCAN SmAl8Cu4, optimized geometry" energy_ev_per_atom=-10.1171 m_tot_mub_per_cell=0.00 ef_mev_per_atom=-350 pbc="T T T"
Sm 0.000 0.000 0.000
Al 2.561 -4.032 2.160
Al 0.011 4.032 4.031
Al 0.011 1.364 4.828
Al 2.561 4.032 2.160
Al 0.011 -1.364 4.828
Al 2.561 1.364 1.364
Al 0.011 -4.032 4.031
Al 2.561 -1.364 1.364
Cu -1.271 0.000 3.096
Cu 1.279 3.096 0.000
Cu 1.279 -3.096 0.000
Cu 1.286 0.000 3.096

=====

[5]
10
Lattice="4.175 0.000 0.000 0.000 4.175 0.000 0.000 0.000 10.600" Properties=species:S:1:pos:R:3 comment="r2SCAN SmAl3Cu, optimized geometry" energy_ev_per_atom=-12.6720 m_tot_mub_per_cell=0.00 ef_mev_per_atom=-517 pbc="T T T"
Sm 0.000 0.000 0.000
Sm 2.088 2.088 5.300
Al 0.000 0.000 4.317
Al 0.000 2.088 2.634
└──
Sibte Hassan’s way of thinking was deeply rooted in historical materialism. He viewed the political and social institutions, customs and traditions, ideas and thoughts of any period of history in the perspective of the same period and established their value in that same perspective. While doing this, he also recognised the need to clarify the reality of how to distinguish the prevalent powers of any period from the past. Here his historicism would harmonise with his progressiveness and he would say that in any battle of the past it is necessary to note between opposing and warring powers, as to which one stands for the permanence and preservation of the present order, and which one is the vanguard of change. He used to say that a pow
er which is the vanguard of change in one period and which could definitely be determined as the progressive power of that period; does not necessarily remain as such in the following period – unless it is seen to be the vanguard of change in the later period as well.
Sibte Hassan’s extended educational and research works were published under the titles of Maazi ke Mazaar, Pakistan men Tehzeeb ka Irtiqa (The Evolution of Culture in Pakistan), Musa se Marx Tak (From Moses to Marx), Inquilab-e-Iran (The Iranian Revolution) and Naveed-e-Fikr. Shortly before he passed away, he had completed his English work The Battle of Ideas in Pakistan and sent it to press. This book saw the light of day after his death. Likewise, he was also busy writing another book on Faiz Ahmad Faiz. It was later published as Sukhan dar Sukhan(Words Upon Words) by Sibte Hassan’s longtime comrade Hassan Abidi. Another incomplete work was based on his research about Karl Marx and the Eastern world. He had devoted extraordinary labour to this subject. He had indeed been studying the writings of Karl Marx since his youth and had previously written a lot on this subject as well, but for writing the aforementioned book and especially, before picking up the pen about the Eastern world and the promotion of Marxist thought in the Muslim countries and its effects, he had collected a lot of material. In this respect, he had obtained the photocopies of many rare writings from the India Office Library of London. When Sibte Hassan passed away, he had completed the initial three to four chapters of the book and he had formulated a plan for the remaining chapters. It was later published by his devoted student Syed Jaffar Ahmed as Marx aur Mashriq (Marx and the East) and was extraordinarily praised in educated circles. Even now, young researchers working on this topic in various international universities remain in search of this book and acknowledge its assistance in their endeavours.
Sibte Hassan’s progressive tendency in viewing the evolutionary process of history, his method of using the principles of historical materialism and dialectical materialism in social analysis, and his efforts in establishing prospects with respect to the future, also had a direct impact on his literary writings. These have been published in four books: Afkar-e-Taaza (Fresh Thoughts), Adab aur Roshan Khayali (Literature and Enlightenment), Mughanni-e-Aatish Nafas – Sajjad Zaheer (The Fire-Breathing Singer), and Adeeb aur Samaaji Amal (The Writer and Social Process). These books are the best reflection of his literary consciousness and Progressive literary thought.
In addition to educational and research works and literary writings, a great field of his writerly efforts consists of his association with journalism and his editorship of an important weekly Lail-o-Nahaar (Night and Day). From 1957 to 1959, he remained the editor of Lail-o-Nahaar, which was a journal of Progressive Papers Limited (PPL). This institution, owned by Mian Iftikharuddin, also published the Daily Imroz (Today)and in English The Pakistan Times. Sibte Hassan’s association with this journal ended when, after the martial law of 1958, the military regime of Ayub Khan nationalised PPL. The second period of Lail-o-Nahaar began in 1970 and ended in 1971. In its first period, it was published from Lahore, while in the second period it was published from Karachi.
Sibte Hassan’s editorials for Lail-o-Nahaar were a reflection of pro-people and progressive thought on political and social conditions. He had a deep grasp over current affairs and he closely watched the political conspiracies and the dictatorial methods of state institutions arrayed against a weak democracy. His editorials have the literary status of an axiom. His writing style contains neither loud-mannered verbosity nor idle sloganeering. He used an unhurried language. In fact, his writing style was simple and logical. These editorials have been compiled in the volume Pakistan ke Tehzeebi-o-Siyasi Masail (The Cultural and Political Problems of Pakistan).
Here it is also necessary to make a brief reference to Sibte Hassan’s political activities because it consisted of an important corner of his life. Sibte Hassan had joined the Communist Party in his youth. In this regard, he also fulfilled the responsibilities of writing in the Party newspapers and magazines and participating in their editorial sections. He wrote a lot of essays and reports in Qaumi Jang, the Party organ published from Bombay. After the creation of Pakistan, when he migrated here, he was a member of the Party’s politbureau, alongside being active on the journalistic front. The responsibility for writing the various Party booklets, announcements and other documents was more or less taken up by him. Sibte Hassan was also arrested as part of the arrests made in reference to the Rawalpindi Conspiracy Case of 1951. Afterwards, in 1954, both the Communist Party and the Progressive Writers Association were banned. After his release from prison, Sibte Hassan continued writing articles in various newspapers and magazines. His editorship of Lail-o-Nahaar has already been mentioned. He remained in Lahore for a few more years after that. During this time, he worked for Ferozsons Lahore for a short time. During this period he translated many books and compiled a few for the Majlis Taraqqi-e-Adab and wrote detailed introductions for them. During this time, he also wrote essays in the Civil and Military Gazette. In the early part of the decade of the 1960s, he shifted to Karachi where in future years he made writing and compilation his primary occupation, but along with that he also wrote articles in Hurriyet and Dawn. Two of his important debates were also published in Dawn. One argument was on the topic of secularism with eminent lawyer Advocate Khalid Ishaque. Likewise, with Professor Qamaruddin Khan he participated in a discussion on the causes of backwardness in the Muslim world.
Sibte Hassan was very fortunate in the sense that he received wide popularity in his own lifetime and his work was acknowledged in educational and literary circles. Both his name and work continue to be imprinted on minds after his passing away. Especially the young generation looking for progressive thought swiftly makes his writings into a sort of amulet against an evil spell. The reason for this is his appeal to the intellect and thus also making a place in the heart. Not for nothing did the great progressive poet Kaifi Azmi appeal in 1988 for the award of the Sitara-e-Pakistan, the country’s highest civil award, to Sibte Hassan for his educational achievements.
Pakistan’s great resistance poet summed up Pakistan’s greatest Marxist thinker in the following words:
He was culture and conscience incarnate, Sibte Hassan
As he departed, the assembly, too, became a dream
He didn’t care to preserve just a few flowers
Unrelated to this piece: records of crystals
[1]
Density functional theory data (PBE-GGA) for a geometry-optimized Ca9Si4O17F structure.

Unit cell a=11.474 b=5.118 c=15.518 alpha=90.00 beta=100.71 gamma=90.00
Space group P2_1 (No. 4)
Symmetry-distinct sites (fractional):
1 Ca 0.004 0.000 0.389 (multiplicity 2)
2 Ca 0.115 0.007 0.827 (multiplicity 2)
3 Ca 0.121 0.495 0.046 (multiplicity 2)
4 Ca 0.197 0.503 0.274 (multiplicity 2)
5 Ca 0.250 0.505 0.500 (multiplicity 2)
6 Ca 0.304 0.513 0.727 (multiplicity 2)
7 Ca 0.377 0.512 0.959 (multiplicity 2)
8 Ca 0.385 0.009 0.171 (multiplicity 2)
9 Ca 0.496 0.012 0.611 (multiplicity 2)
10 Si 0.070 0.934 0.167 (multiplicity 2)
11 Si 0.182 0.934 0.611 (multiplicity 2)
12 Si 0.318 0.077 0.389 (multiplicity 2)
13 Si 0.430 0.083 0.835 (multiplicity 2)
14 O 0.022 0.308 0.918 (multiplicity 2)
15 O 0.031 0.803 0.255 (multiplicity 2)
16 O 0.071 0.255 0.166 (multiplicity 2)
17 O 0.096 0.803 0.524 (multiplicity 2)
18 O 0.137 0.802 0.697 (multiplicity 2)
19 O 0.184 0.208 0.388 (multiplicity 2)
20 O 0.184 0.255 0.612 (multiplicity 2)
21 O 0.195 0.728 0.941 (multiplicity 2)
22 O 0.201 0.802 0.161 (multiplicity 2)
23 O 0.297 0.211 0.838 (multiplicity 2)
24 O 0.316 0.756 0.388 (multiplicity 2)
25 O 0.316 0.803 0.612 (multiplicity 2)
26 O 0.363 0.208 0.303 (multiplicity 2)
27 O 0.405 0.208 0.476 (multiplicity 2)
28 O 0.431 0.762 0.838 (multiplicity 2)
29 O 0.470 0.211 0.746 (multiplicity 2)
30 O 0.482 0.718 0.080 (multiplicity 2)
31 F 0.297 0.276 0.060 (multiplicity 2)

## Properties
E: -7.1015 eV per atom
Magnetization: 1.001 μB/f.u.

***

[2]
Density functional theory data (PBE-GGA) for a geometry-optimized Ca3Ta4O12F2 structure.

Unit cell a=7.4911 b=7.4911 c=18.0036 alpha=90.00 beta=90.00 gamma=120.00
Space group R-3m (No. 166, hexagonal axes)
Symmetry-distinct sites (fractional):
1 Ca 0.0000 0.5000 0.0000 (multiplicity 9)
2 Ta 0.0000 0.0000 0.0000 (multiplicity 3)
3 Ta 0.0000 0.5000 0.5000 (multiplicity 9)
4 O 0.0739 0.5369 0.6080 (multiplicity 18)
5 O 0.0864 0.5432 0.8577 (multiplicity 18)
6 F 0.0000 0.0000 0.3625 (multiplicity 6)

## Properties
ΔE to the lowest computed polymorph: 0.380 eV per formula unit
Magnetization: 0.000 μB/f.u.

***

[3]
Density functional theory data (PBE-GGA) for a geometry-optimized Ca3Ta4O12F2 structure.

Unit cell a=10.538 b=10.538 c=10.538 alpha=90.00 beta=90.00 gamma=90.00
Space group P4_332 (No. 212)
Symmetry-distinct sites (fractional):
1 Ca 0.113 0.375 0.363 (multiplicity 12)
2 Ta 0.124 0.126 0.625 (multiplicity 12)
3 Ta 0.125 0.875 0.375 (multiplicity 4)
4 O 0.002 0.504 0.804 (multiplicity 24)
5 O 0.008 0.813 0.510 (multiplicity 24)
6 F 0.012 0.488 0.512 (multiplicity 8)

## Properties
ΔE to the lowest computed polymorph: 0.000 eV per formula unit
Magnetization: 0.000 μB/f.u.

***

[4]
Density functional theory data (PBE-GGA) for a geometry-optimized Ca2Ta2O6F structure.

Unit cell a=10.404 b=10.404 c=10.404 alpha=90.00 beta=90.00 gamma=90.00
Space group Fd-3m (No. 227, origin choice 2)
Symmetry-distinct sites (fractional):
Rather he wished that the entire garden bloom
His imprints will lead the discussion forward
This flamboyant evolution will not cease
We will teach and be taught how to live
From his ideas and thoughts, will all the lovers of the word
He spoke the truth that life itself takes their steps
When men and women are not afraid to die
The usurpers will not be there forever, how well he used to say
When the weak-bodied and the scorned all rise
His name rings in every street O Jalib
For the very mountains and the valleys have been awakened by his thought’
• Attached: materials data:
~~~
Crystalline Tm2Ga9Ir3 at its relaxed geometry. Source: Materials Project, functional r2SCAN.

- Space-group type: No. 63

a b c (Å): 7.474 7.474 9.410
angles (deg): 90.00 90.00 119.86
Atoms (fractional coordinates):
Ga 0.000 0.335 0.580
Ga 0.871 0.871 0.250
Ga 0.000 0.335 0.920
Tm 0.002 0.331 0.250
Ir 0.328 0.672 0.000
Ga 0.000 0.665 0.080
Ga 0.335 0.000 0.920
Ir 0.328 0.672 0.500
Tm 0.669 0.998 0.750
Ga 0.333 0.333 0.431
Ir 0.000 0.000 0.000
Ga 0.662 0.455 0.250
Ga 0.000 0.665 0.420
Ga 0.455 0.662 0.250
Ir 0.672 0.328 0.500
Tm 0.331 0.002 0.250
Ga 0.335 0.000 0.580
Ga 0.338 0.545 0.750
Ga 0.665 0.000 0.080
Ga 0.129 0.129 0.750
Ir 0.000 0.000 0.500
Tm 0.998 0.669 0.750
Ga 0.665 0.000 0.420
Ga 0.667 0.667 0.569
Ir 0.672 0.328 0.000
Ga 0.667 0.667 0.931
Ga 0.333 0.333 0.069
Ga 0.545 0.338 0.750



Crystalline YbGa2Ir at its relaxed geometry. Source: Materials Project, functional r2SCAN.

- Space-group type: No. 225

a b c (Å): 4.524 4.524 4.524
angles (deg): 60.00 60.00 60.00
Atoms (fractional coordinates):
Ga 0.250 0.250 0.250
Ir 0.500 0.500 0.500
Yb 0.000 0.000 0.000
Ga 0.750 0.750 0.750



Crystalline ZnGaIr2 at its relaxed geometry. Source: Materials Project, functional r2SCAN.

- Space-group type: No. 225

a b c (Å): 4.260 4.260 4.260
angles (deg): 60.00 60.00 60.00
Atoms (fractional coordinates):
Zn 0.750 0.750 0.750
Ir 0.500 0.500 0.500
Ga 0.250 0.250 0.250
Ir 0.000 0.000 0.000



Crystalline KMg14Ga at its relaxed geometry. Source: Materials Project, functional r2SCAN.

- Space-group type: No. 187

a b c (Å): 6.431 6.431 10.509
angles (deg): 90.00 90.00 120.00
Atoms (fractional coordinates):
Ga 0.167 0.333 0.625
Mg 0.157 0.828 0.625
Mg 0.832 0.166 0.394
Mg 0.663 0.326 0.125
Mg 0.672 0.343 0.625
Mg 0.832 0.166 0.856
Mg 0.334 0.668 0.856
K 0.167 0.333 0.125
Mg 0.174 0.837 0.125
Mg 0.334 0.668 0.394
Mg 0.833 0.667 0.882
Mg 0.334 0.166 0.856
Mg 0.833 0.667 0.368
Mg 0.672 0.828 0.625
Mg 0.334 0.166 0.394
Mg 0.663 0.837 0.125



Crystalline KGaO2 at its relaxed geometry. Source: Materials Project, functional r2SCAN.

- Space-group type: No. 61

a b c (Å): 5.522 11.073 15.811
angles (deg): 90.00 90.00 90.00
Atoms (fractional coordinates):
K 0.800 0.234 0.683
Ga 0.784 0.237 0.935
O 0.929 0.805 0.012
O 0.057 0.021 0.786
K 0.200 0.734 0.817
O 0.838 0.334 0.842
O 0.662 0.834 0.842
K 0.743 0.983 0.561
Ga 0.284 0.263 0.065
Ga 0.216 0.737 0.565
O 0.443 0.979 0.286
O 0.162 0.834 0.658
O 0.162 0.666 0.158
O 0.071 0.195 0.988
O 0.647 0.407 0.399
O 0.853 0.593 0.899
Ga 0.266 0.009 0.189
K 0.700 0.766 0.183
O 0.571 0.195 0.512
K 0.800 0.266 0.183
K 0.257 0.017 0.439
Ga 0.784 0.263 0.435
K 0.257 0.483 0.939
Ga 0.216 0.763 0.065
O 0.662 0.666 0.342
K 0.200 0.766 0.317
O 0.571 0.305 0.012
K 0.300 0.234 0.817
K 0.700 0.734 0.683
Ga 0.234 0.991 0.689
O 0.353 0.593 0.601
Ga 0.234 0.509 0.189
O 0.943 0.521 0.714
O 0.071 0.305 0.488
Ga 0.266 0.491 0.689
Ga 0.716 0.737 0.935
O 0.429 0.805 0.488
K 0.743 0.517 0.061
O 0.057 0.479 0.286
O 0.353 0.907 0.101
~~~
(Habib Jalib)
The article was originally published in The Friday Times latest issue.
Raza Naeem is a Pakistani social scientist, book critic and award-winning translator and dramatic reader currently teaching in Lahore. He is currently the president of the Progressive Writers Association in Lahore. His most recent work is an introduction to the reissued edition (HarperCollins India, 2016) of Abdullah Hussein’s classic novel ‘The Weary Generations’. He can be reached at: razanaeem@hotmail.com